Exercise:
Write out the lines further down from the line with "total charge:" to the end exactly.

Material:
~~~
1.
An isolated ion of composition C6H11N2S and charge +1. Source: OMol25; level of theory: ωB97M-V with the def2-TZVPD basis set.

Structure (XYZ):
```
20
Properties=species:S:1:pos:R:3:forces:R:3
S 2.204 -1.734 0.217 0.162 -0.165 0.248
C 2.270 0.045 0.590 -0.099 0.173 -0.245
C 1.476 0.922 -0.402 -0.151 0.016 0.179
C 0.116 1.425 0.122 0.122 -0.082 -0.292
C -0.993 0.418 0.021 0.152 -0.009 0.126
C -2.324 0.552 0.226 -0.283 0.417 0.067
N -2.898 -0.680 0.019 -0.254 -0.145 -0.003
C -1.958 -1.558 -0.296 -0.043 -0.118 0.024
N -0.806 -0.912 -0.298 0.232 -0.006 -0.024
H 3.088 -1.741 -0.787 -0.049 0.032 -0.120
H 3.315 0.354 0.619 -0.086 -0.111 0.063
H 1.874 0.135 1.602 0.069 0.032 -0.015
H 2.066 1.797 -0.678 0.010 -0.042 0.106
H 1.315 0.363 -1.328 0.088 0.138 -0.039
H -0.169 2.304 -0.464 -0.083 -0.102 0.102
H 0.190 1.754 1.162 0.099 0.005 -0.043
H -2.897 1.423 0.502 -0.006 -0.131 -0.062
H -3.880 -0.899 0.090 -0.002 0.049 0.004
H -2.096 -2.608 -0.500 -0.030 0.086 0.010
H 0.110 -1.360 -0.418 0.152 -0.039 -0.086
```
Positions in Å, forces in eV/Å.

Computed properties:
- spin multiplicity = 1
- charge = +1
- strongest force on any atom (eV/Å) = 0.509
- gap between HOMO and LUMO (eV) = 10.251
- SMILES = SCCCc1c[nH]c[nH+]1
- HOMO energy (Ha) = -0.4774

2.
One molecule with the formula C2H2F2S in a non-equilibrium geometry. Source: OMol25; level of theory: ωB97M-V with the def2-TZVPD basis set.

Structure (XYZ):
```
7
Properties=species:S:1:pos:R:3:forces:R:3
F -1.176 1.371 1.326 1.613 -1.158 0.233
C -0.077 0.533 1.215 -0.750 -0.931 -3.389
C 0.095 -0.067 -0.005 0.128 0.319 -1.426
F -0.843 0.305 -0.880 -0.572 0.184 -0.361
S 1.305 -1.133 -1.463 -1.243 1.332 2.946
H 0.480 0.287 2.053 0.734 0.107 1.600
H 0.217 -1.295 -2.247 0.089 0.148 0.398
```
Positions in Å, forces in eV/Å.

Computed properties:
- spin multiplicity = 1
- strongest force on any atom (eV/Å) = 3.594
- gap between HOMO and LUMO (eV) = 8.954
- SMILES = F/C=C(\F)S
- HOMO energy (Ha) = -0.3553

* * * * *

[1]
The following is a quantum chemistry calculation of C29H54ClOPPt as an isolated structure, from OMol25.

Properties
* E_LUMO (spin up / spin down): 0.61 / -2.70 eV
* total charge: 0
* ⟨S²⟩: 6.018
* gap between HOMO and LUMO (spin up / spin down): 0.2122 / 0.2211 Ha
* multiplicity: 5
* HOMO (spin up / spin down): -5.162 / -8.720 eV

Cartesian coordinates (Å):
Pt -1.6900 -0.5281 0.9053
Cl -3.7218 -1.5673 1.5996
P 0.2979 -0.1419 -0.1915
C -1.0342 3.1356 0.0372
H -0.5689 4.1104 -0.2022
H -0.6780 2.4962 0.8562
C 0.4694 -1.8532 -0.9348
C 1.6653 0.2641 1.0513
C 1.5384 -2.0658 -1.9980
H 0.7057 -2.4721 -0.0484
C 1.6642 -3.5737 -2.2618
H 1.2657 -1.5491 -2.9303
H 2.5124 -1.6744 -1.6701
C 0.3215 -4.2327 -2.6178
H 2.3971 -3.7463 -3.0641
H 2.0649 -4.0356 -1.3485
C -0.8220 -3.8451 -1.6708
H 0.0441 -3.9414 -3.6386
H 0.4495 -5.3219 -2.6125
C -0.8906 -2.3185 -1.4723
H -1.7833 -4.2211 -2.0521
H -0.6559 -4.3059 -0.6834
H -1.1322 -1.8163 -2.4261
H -1.7114 -2.0793 -0.7580
C 0.7118 0.9920 -1.6979
C 2.0722 1.7489 1.1544
H 1.2349 -0.0313 2.0292
C 3.1100 1.9060 2.2849
H 2.5143 2.1180 0.2138
H 1.1879 2.3761 1.3232
C 4.3307 0.9860 2.1227
H 3.4505 2.9477 2.3284
H 2.6332 1.6959 3.2546
C 3.9667 -0.4755 1.8393
H 4.9814 1.3601 1.3192
H 4.9321 1.0108 3.0396
C 2.8685 -0.6412 0.7815
H 4.8534 -1.0185 1.4901
H 3.6561 -0.9733 2.7707
H 3.2945 -0.4111 -0.2108
H 2.5402 -1.6931 0.7769
C -0.1033 0.8091 -2.9944
H 0.3974 1.9313 -1.1958
C 0.1316 1.9997 -3.9548
H 0.2004 -0.1120 -3.5212
H -1.1861 0.7288 -2.8270
C 1.6012 2.2470 -4.3060
H -0.4213 1.8278 -4.8852
H -0.2850 2.9176 -3.5111
C 2.4779 2.2386 -3.0591
H 1.9498 1.4742 -5.0045
H 1.7126 3.2109 -4.8207
C 2.1943 1.0528 -2.1169
H 3.5294 2.1947 -3.3511
H 2.3548 3.1832 -2.5092
H 2.4533 0.1295 -2.6588
H 2.8694 1.1108 -1.2484
C -2.4675 0.9729 -0.3070
C -2.3609 2.8697 -0.3315
H -1.8980 0.8261 -1.2346
C -3.4495 3.4347 0.6160
H -2.5762 3.0700 -1.3991
C -4.4134 2.3968 1.1989
H -2.9273 3.9360 1.4545
H -4.0343 4.2128 0.1107
C -5.0019 1.4694 0.1496
H -3.8756 1.8308 1.9598
~~~

Solution:
* total charge: 0
* ⟨S²⟩: 6.018
* gap between HOMO and LUMO (spin up / spin down): 0.2122 / 0.2211 Ha
* multiplicity: 5
* HOMO (spin up / spin down): -5.162 / -8.720 eV

Cartesian coordinates (Å):
Pt -1.6900 -0.5281 0.9053
Cl -3.7218 -1.5673 1.5996
P 0.2979 -0.1419 -0.1915
C -1.0342 3.1356 0.0372
H -0.5689 4.1104 -0.2022
H -0.6780 2.4962 0.8562
C 0.4694 -1.8532 -0.9348
C 1.6653 0.2641 1.0513
C 1.5384 -2.0658 -1.9980
H 0.7057 -2.4721 -0.0484
C 1.6642 -3.5737 -2.2618
H 1.2657 -1.5491 -2.9303
H 2.5124 -1.6744 -1.6701
C 0.3215 -4.2327 -2.6178
H 2.3971 -3.7463 -3.0641
H 2.0649 -4.0356 -1.3485
C -0.8220 -3.8451 -1.6708
H 0.0441 -3.9414 -3.6386
H 0.4495 -5.3219 -2.6125
C -0.8906 -2.3185 -1.4723
H -1.7833 -4.2211 -2.0521
H -0.6559 -4.3059 -0.6834
H -1.1322 -1.8163 -2.4261
H -1.7114 -2.0793 -0.7580
C 0.7118 0.9920 -1.6979
C 2.0722 1.7489 1.1544
H 1.2349 -0.0313 2.0292
C 3.1100 1.9060 2.2849
H 2.5143 2.1180 0.2138
H 1.1879 2.3761 1.3232
C 4.3307 0.9860 2.1227
H 3.4505 2.9477 2.3284
H 2.6332 1.6959 3.2546
C 3.9667 -0.4755 1.8393
H 4.9814 1.3601 1.3192
H 4.9321 1.0108 3.0396
C 2.8685 -0.6412 0.7815
H 4.8534 -1.0185 1.4901
H 3.6561 -0.9733 2.7707
H 3.2945 -0.4111 -0.2108
H 2.5402 -1.6931 0.7769
C -0.1033 0.8091 -2.9944
H 0.3974 1.9313 -1.1958
C 0.1316 1.9997 -3.9548
H 0.2004 -0.1120 -3.5212
H -1.1861 0.7288 -2.8270
C 1.6012 2.2470 -4.3060
H -0.4213 1.8278 -4.8852
H -0.2850 2.9176 -3.5111
C 2.4779 2.2386 -3.0591
H 1.9498 1.4742 -5.0045
H 1.7126 3.2109 -4.8207
C 2.1943 1.0528 -2.1169
H 3.5294 2.1947 -3.3511
H 2.3548 3.1832 -2.5092
H 2.4533 0.1295 -2.6588
H 2.8694 1.1108 -1.2484
C -2.4675 0.9729 -0.3070
C -2.3609 2.8697 -0.3315
H -1.8980 0.8261 -1.2346
C -3.4495 3.4347 0.6160
H -2.5762 3.0700 -1.3991
C -4.4134 2.3968 1.1989
H -2.9273 3.9360 1.4545
H -4.0343 4.2128 0.1107
C -5.0019 1.4694 0.1496
H -3.8756 1.8308 1.9598